I hate calling my cable company


Veteran XV
So. My internet is mildly broken, severe packet loss, which in turn is causing all sorts of lag spikes and high latency, but I can't bring myself to call Time Warner because I just so much dislike being put on hold for like 40 minutes only to be put on the line with one of the opening service reps that will tell me to clear my cookies and shit... UGH.

I've been praying for the last week that it would clear itself up, before I had to call in and nerd it up with talk of traceroutes and stuff. I hate being on the phone, I hate holding, I hate retard CSRs, and I hate looking like a nerd even if I am one.

One of you has to work at Time Warner or Level 3 or something, fix your shit already.
Comcast has pretty good people on the phone and I think they are even local to me atleast. They even have this thing where it saves your spot in line and then calls you back when it is your turn.
I've had both TW and CC and never had too much of an issue. When you call in don't be a dick and just follow along with the script. Once they clear that stage out it goes fast.
When I've done my homework on an issue and still wind up needing support from customer service, I've decided to completely cut the bullshit and have them send me on without needing to talk with them much.

We'll see how it works when I actually try it. I came to this conclusion last week after spending an hour and a half on the phone with Adobe (and failing to have my question answered).I then emailed the North American Tech Sales Manager and got an answer from their lead engineer within an hour.

These records of crystals were left in the article by mistake =
~~~
# Ac3Er13
Computed X-ray powder pattern, Cu Kα (λ = 1.5418 Å). Input: a PBE-relaxed structure.

Main lines, by angle (10° ≤ 2θ ≤ 80°):
two_theta  Rel. int.
28.07  22
28.23  13
31.25  35
32.21  100
32.35  47
42.50  15
49.58  10
49.87  20
56.25  30
59.78  11
60.04  22
60.45  16

Cell and atoms:
```
16
Lattice="7.3543 0.0000 0.0000 0.0000 5.7247 6.3231 0.0000 -5.7247 6.3231" Properties=species:S:1:pos:R:3 pbc="T T T"
Ac 0.0000 0.0000 0.0000
Ac 1.8600 0.0000 9.3873
Ac 5.4944 0.0000 9.3873
Er 0.0000 -2.9068 8.4192
Er 0.0000 0.0000 6.1963
Er 0.0000 2.9068 8.4192
Er 1.8491 0.0000 3.1623
Er 1.8600 -2.7756 5.2435
Er 1.8600 2.7756 5.2435
Er 3.6772 0.0000 12.6431
Er 3.6772 -2.9816 8.3844
Er 3.6772 0.0000 6.1979
Er 3.6772 2.9816 8.3844
Er 5.4943 -2.7756 5.2435
Er 5.4943 2.7756 5.2435
Er 5.5053 0.0000 3.1623
```

# AcEuErLu
Computed X-ray powder pattern, Cu Kα (λ = 1.5418 Å). Input: a PBE-relaxed structure.

Main lines, by angle (10° ≤ 2θ ≤ 80°):
two_theta  Rel. int.
18.48  1
21.37  1
30.40  100
35.80  1
43.52  19
48.97  1
54.01  41
63.24  13
71.77  17
79.90  4

Cell and atoms:
```
4
Lattice="0.0000 4.1589 4.1589 4.1589 0.0000 4.1589 4.1589 4.1589 0.0000" Properties=species:S:1:pos:R:3 pbc="T T T"
Ac 0.0000 0.0000 0.0000
Eu 2.0794 2.0794 2.0794
Er 6.2383 6.2383 6.2383
Lu 4.1589 4.1589 4.1589
```

# AcErFe
Computed X-ray powder pattern, Cu Kα (λ = 1.5418 Å). Input: a PBE-relaxed structure.

Main lines, by angle (10° ≤ 2θ ≤ 80°):
two_theta  Rel. int.
27.06  52
27.66  38
27.93  92
28.76  100
30.21  69
31.21  58
34.27  33
34.95  44
37.72  28
39.09  55
51.21  43
53.26  34

Cell and atoms:
```
12
Lattice="3.5425 -6.4466 0.0000 3.5425 6.4466 0.0000 0.0000 0.0000 7.4518" Properties=species:S:1:pos:R:3 pbc="T T T"
Ac 3.5425 3.8992 6.6094
Ac 3.5425 2.5474 2.8835
Ac 3.5425 -2.5474 4.5683
Ac 3.5425 -3.8992 0.8424
Er 1.7713 0.4785 5.5889
Er 1.7713 -0.4785 1.8630
Er 5.3138 0.4785 5.5889
Er 5.3138 -0.4785 1.8630
Fe 3.5425 5.3616 4.0176
Fe 3.5425 1.0851 0.2917
Fe 3.5425 -1.0851 7.1601
Fe 3.5425 -5.3616 3.4342
```

# AcErGa4
Computed X-ray powder pattern, Cu Kα (λ = 1.5418 Å). Input: a PBE-relaxed structure.

Main lines, by angle (10° ≤ 2θ ≤ 80°):
two_theta  Rel. int.
22.24  26
28.45  34
30.14  100
30.28  53
32.21  49
34.21  62
35.69  24
36.80  16
40.83  42
41.32  20
51.74  16
54.21  17

Cell and atoms:
```
24
Lattice="8.2611 0.0000 0.0000 0.0000 15.8573 0.0000 0.0000 0.0000 4.4207" Properties=species:S:1:pos:R:3 pbc="T T T"
Ac 1.0920 2.3468 0.0000
Ac 3.0386 10.2755 0.0000
Ac 5.2226 5.5819 0.0000
Ac 7.1692 13.5105 0.0000
Er 1.0753 6.5872 0.0000
Er 3.0552 14.5159 0.0000
Er 5.2059 1.3414 0.0000
Er 7.1858 9.2701 0.0000
Ga 0.0993 11.0752 2.2104
Ga 0.9718 8.7377 2.2104
Ga 1.0698 15.3291 2.2104
Ga 1.6940 12.8930 2.2104
Ga 2.4366 4.9643 2.2104
Ga 3.0608 7.4004 2.2104
Ga 3.1587 0.8091 2.2104
Ga 4.0313 3.1466 2.2104
Ga 4.2298 12.7107 2.2104
Ga 5.1024 15.0482 2.2104
Ga 5.2004 8.4569 2.2104
Ga 5.8246 10.8930 2.2104
Ga 6.5671 2.9643 2.2104
Ga 7.1913 0.5283 2.2104
Ga 7.2893 7.1196 2.2104
~~~

My line will be something like this:

Hi, here's the account information you need blah blah blah.
them: asks question about the issue
I'd like for you to connect me to the highest point of escalation you are capable of providing me. This is nothing against you and it is not a complaint of any kind. I have just found from all my past issues that I am never able to be helped until I've reached a manager or tier 3 support of some kind. I have done a lot of work on research on this issue and would need only for you to escalate my issue as it takes excessively long to explain the problem repeatedly.

I'm sure I'll have people arguing with me that they can't escalate an issue until they tell me what it is, but I figure it'll take less than half the time to bitch at someone to escalate an issue compared to trying to explain the issue to someone who obviously has no clue what the answer will be.
Yeah sometimes that works, but a lot of times the rep seems resistant to just passing you along. I would assume it's discouraged, or they assume it reflects poorly upon them.
Dealing with AT&T for my Uverse issue was an absolute nightmare. Multiple calls, hours talking to people, multiple different people promising me the issue would be resolved (and even promising confirmation w/in 24 hours, which I was later told they never do), etc. In the end I had to argue with a Customer Retention rep for 45 minutes until he (after asking me if I worked for AT&T) connected me with a high level tech who solved my problem in 5 minutes.

I've heard that swearing can result in an instant escalation, so next time you call you might try opening with "fuck you, I want to fucking talk to your fucking supervisor!"
Yeah sometimes that works, but a lot of times the rep seems resistant to just passing you along. I would assume it's discouraged, or they assume it reflects poorly upon them.

In general, escalation is heavily discouraged and is really only supposed to be a last resort. The ones that don't mind escalating usually have several layers of escalation before you are actually talking to anyone who can do anything. So it will be like

Level 1 Rep
Senior Level 1 Rep
Supervisor of Level 1 Reps
Level 2 Rep
Senior Level 2 Rep
Supervisor of Level 2 Reps

Those companies are jerks though. I worked in a support center for 3 years, I actually didn't mind it all that much but it's probably because I got like 4-5 promotions within the first year to end up servicing business clients that were assigned directly to me rather than being in a simple call center. I was always busy though, but I kind of miss that.